The digital side of the war in Ukraine

Due to the ongoing digitization and the amount of information, many people are much closer to what is happening in Ukraine than in previous wars. In addition to masses of posts on social media, there are many different sites that collect and analyze different information as comprehensively as possible, e.g., MapHub and Ukraine Live Map. This is also known as Open Source Intelligence (OSINT). As everywhere, one should question all information, since a lot of fake news and propaganda is also being spread [1].

Digital Attacks on Ukraine in Advance

For months and especially shortly before Russian troops invaded Ukraine, there had been numerous digital attacks (HermeticWiper, Sandworm/VoodooBear, etc.) on Ukrainian infrastructures, cf. Ukraine-Cyber-Operations. In addition to espionage, attacks on critical infrastructures can also serve to stabilize the population from within, see Sun Tzu and Cyber War by Kenneth Geers.

For example, the day before the invasion, the Wiper-Malware spread to numerous Ukrainian systems, particularly companies that are contracted by the Ukrainian government. A wiper is an erasure attack to make computers up to entire systems unrecoverable. The malware was probably written starting in November 2021 and is currently attributed to Russia.

However, Ukraine has been a playground for digital attacks since 2014. It started with a larger-scale attack on the systems of the largest media company Starlight Media and an attempt to influence the election. However, the Snake toolkit used for this began to infiltrate the computer network as early as 2010. In 2015 and 2016 there were attacks on the Ukrainian power grid, which resulted in power outages lasting several hours. The NotPetya attacks in summer 2017 caused great damage in the country and also caused many western companies. The malware appeared as ransomware (paying a ransom to decrypt the data) but was a wiper that permanently deleted the data. The malware spread with an update to Ukrainian tax software, affecting everyone who had business connections with Ukraine. It is possible that attackers still have backdoors in some Ukrainian systems.

Years of attacks have accumulated expertise in Ukraine. However, based on EaPEC talks in 2018 (in line with an EAP-Report), activity up to that point was less pronounced than in Estonia (2007) and Georgia (2008) after attacks by Russia. For example, NATO established a Cooperative Cyber Defence Centre of Excellence in Tallinn a year after the Estonia attack, while Georgia’s CERT.GOV.GE started operations in 2011. The documentation “Russias New Soldiers” though shows some changes.

Due to the fact that conventional attacks were accompanied by cyber operations in the previous conflicts, many IT security experts, see, e.g., [2], assumed a similar approach (DDoS, attacks on military command posts, disinformation, attacks on critical infrastructures). It is likely that fewer of these have arrived than is widely assumed [3]. Presumably, this can only be evaluated afterwards, since the information is distributed like pieces of a puzzle and may not all have been laid yet.

Digital Attacks on Russia by Anonymous and Individuals

There is (so far) no cyberwar, but support from this environment. An attack can be anything that can usually be carried out over the Internet and is aimed at an IT system, from fake news to phishing to unauthorized system encryption or data extraction.

The collective Anonymous (a loose network of various groups and actors) has declared cyberwar on Putin and has received some applause for hacktivism. Many Russian websites (websites of the Russian administration, government websites, website of the Kremlin, news portal of RT) were overloaded on February 24th, 2022 during the DDoS attacks by numerous repeated requests and thus paralyzed (aka sit-in blockade). Shortly thereafter, Russia restricted access to their Internet services through geolocation, which means that many sites can only be accessed from the IP range of Russia (i.e., in Russia or via VPN). Soon, Russia plans to cut off.

Other claims, such as the leak of data from the Russian Ministry of Defense, appear questionable to implausible [4][5]. A relatively recent example is the Gazprom database hack. The Gazprom.7z compressed file is 380 KB in size and mainly consists of Python and Javascript files, plus YAML and Docker. There is some data in the Javascript files, but at first glance, the leaked material is not a database but a website. The claims may sound plausible at first, but not everyone can easily verify them. This makes it difficult for the general public to evaluate the truthfulness. In principle, anyone can use the name Anonymous and not everyone will follow this codex. Many free riders and wannabe hackers have also joined the bandwagon.

Critical infrastructure is always (or should be) operated separately from public services. Theoretically, critical infrastructure can be permanently destroyed by hacker attacks, but this is quite complicated, requires detailed knowledge and does not necessarily succeed (cf. power supply in Ukraine at the end of 2015) [6]. In the military, too, some devices are digital or at least partially digital, such as radar and radios. Attacking it is anything but trivial and takes time. This shows that while hacktivism can make a difference and encourage people, it is unlikely to impact Russia’s critical infrastructure. The war will not be decided online.

With the Tallinn Manual (The Tallinn Manual) rules that states can use as a guide in the event of digital attacks. However, this does not apply when private individuals or collectives like Anonymous become active. According to Prof. Dr. Dennis-Kenji Kipker, these world rescue actions are, therefore, risky and legally problematic [7]. Section 202c of the StGB (hacker paragraph), which was very controversial when it was introduced in 2007, punishes the production, procurement, and distribution of computer programs whose purpose is to commit a criminal offense under Sections 202a and 202b of the StGB. However, this is not the case with a passive scan (see below), which would rather fall under Section 202a of the StGB. A network scan is prior to accessing protection and is, therefore, usually not welcomed, while the exploitation of found vulnerabilities clearly falls under Section 202a of the Criminal Code, as long as there is no suitable framework (e.g. contract for a pentest). Manuel Atug aka HonkHase: “I see the danger that a lot of destruction and vandalism will happen under the guise of supposed legitimacy, which will not affect Putin, but the population.[8]

Activism can be good depending on the execution and not all hacktivists are lumped together, but it is important to classify the actions. In my view, unrealistic facts and actions that harm private individuals or animals miss their target. Likewise, these actions can be viewed as involvement in the war; especially since it is unknown how Putin and hackers will react to the many attacks and sanctions (cf. also [9]). I personally think the latter is more likely. These could be directed against individuals, but could also result in a massive digital attack on NATO countries. The asymmetry favors the attacker (see Sun Tzu and Cyber War, among others), which also applies to a potential counterattack. In addition, some cybercriminals use the current situation as a topic for their malware, see Mustang Panda.


So far, there have been digital activities on both sides, each with a different intensity. While breaking something in the right context (e.g., in your own test environment) can be fun, it has a different scope in real life like in war. You can use your own knowledge better, for example, by finding and reporting weak points. Based on previous experience, improving the defensive, i.e., the defense against attacks, is important in order to be able to guarantee the necessary supply of critical infrastructure. This is part of cyber resilience, i.e., maintaining and improving the resilience of critical infrastructure in particular. Weaknesses in Ukraine can be reported to the Ukrainian CERT, for example, so that the supply is ensured (cf. [9]).

Vulnerabilities can also be found in critical infrastructures [10] in Germany and should be reported immediately to the system operators and government agencies such as the BSI or the CIRBw (possibly via proxies). The scope of the Orion network management software from Solarwinds [11] is still unknown in this context.

These records of crystals were left in the page by mistake =
+++
This record from the Materials Project describes an optimized crystal structure of Sr5La3Mn4W4O24. The functional is PBE with a Hubbard U.

POSCAR file:
```
Sr5La3Mn4W4O24
1.0
8.174 0.000 0.000
-0.025 8.205 0.000
-4.056 -4.072 8.116
Sr La Mn W O
5 3 4 4 24
direct
0.379 0.391 0.748 Sr
0.109 0.624 0.250 Sr
0.875 0.886 0.750 Sr
0.891 0.376 0.746 Sr
0.610 0.122 0.254 Sr
0.400 0.873 0.750 La
0.120 0.104 0.254 La
0.627 0.611 0.255 La
0.249 0.749 0.000 Mn
0.000 0.001 0.503 Mn
0.751 0.252 0.000 Mn
0.500 0.496 0.499 Mn
0.001 0.501 0.500 W
0.250 0.251 0.001 W
0.500 0.000 0.502 W
0.748 0.751 0.000 W
0.042 0.276 0.538 O
0.995 0.240 0.954 O
0.244 0.458 0.951 O
0.831 0.918 0.233 O
0.233 0.958 0.443 O
0.071 0.655 0.732 O
0.433 0.831 0.262 O
0.271 0.556 0.556 O
0.535 0.781 0.550 O
0.479 0.748 0.948 O
0.731 0.968 0.945 O
0.331 0.416 0.233 O
0.673 0.585 0.769 O
0.255 0.044 0.053 O
0.511 0.266 0.052 O
0.445 0.212 0.444 O
0.729 0.460 0.442 O
0.570 0.156 0.738 O
0.941 0.339 0.265 O
0.762 0.042 0.551 O
0.184 0.079 0.770 O
0.751 0.537 0.058 O
0.020 0.774 0.054 O
0.950 0.716 0.446 O
```

**Space group**: No. 1
**E_form**: -2842.9 meV per atom
**Calculated density**: 6.69 g cm⁻³
**M_tot**: 23.00 μB/f.u.



This record from the Materials Project describes an optimized crystal structure of SrLaMnWO6. The functional is PBE with a Hubbard U.

POSCAR file:
```
SrLaMnWO6
1.0
-0.875 -5.247 -2.211
-3.066 -1.384 4.677
-1.437 4.658 -3.070
Sr La Mn W O
1 1 1 1 6
direct
0.750 0.250 0.500 Sr
0.250 0.750 0.500 La
0.000 0.000 0.000 Mn
0.500 0.500 0.000 W
0.261 0.261 0.000 O
0.308 0.182 0.517 O
0.818 0.335 0.125 O
0.739 0.739 0.000 O
0.210 0.692 0.875 O
0.665 0.790 0.483 O
```

**Space group**: No. 82
**E_form**: -2846.5 meV per atom
**Calculated density**: 6.85 g cm⁻³
**M_tot**: 6.00 μB/f.u.



This record from the Materials Project describes an optimized crystal structure of Sr3LaMn2W2O12. The functional is PBE with a Hubbard U.

POSCAR file:
```
Sr3LaMn2W2O12
1.0
-3.550 1.788 -4.247
3.939 -1.566 -3.951
-6.527 -14.782 -0.766
Sr La Mn W O
6 2 4 4 24
direct
0.023 0.233 0.999 Sr
0.022 0.241 0.501 Sr
0.477 0.741 0.755 Sr
0.523 0.767 0.001 Sr
0.522 0.759 0.499 Sr
0.977 0.259 0.245 Sr
0.470 0.738 0.241 La
0.970 0.262 0.759 La
0.000 0.748 0.878 Mn
0.998 0.751 0.375 Mn
0.500 0.252 0.122 Mn
0.498 0.249 0.625 Mn
0.999 0.753 0.125 W
0.000 0.750 0.624 W
0.499 0.247 0.875 W
0.500 0.250 0.376 W
0.987 0.671 0.507 O
0.987 0.666 0.010 O
0.779 0.018 0.107 O
0.781 0.000 0.604 O
0.771 0.034 0.893 O
0.757 0.041 0.398 O
0.726 0.540 0.153 O
0.750 0.530 0.649 O
0.732 0.504 0.848 O
0.711 0.509 0.352 O
0.519 0.173 0.755 O
0.512 0.158 0.259 O
0.487 0.329 0.493 O
0.487 0.334 0.990 O
0.281 0.000 0.396 O
0.279 0.982 0.893 O
0.271 0.966 0.107 O
0.257 0.959 0.602 O
0.250 0.470 0.351 O
0.226 0.460 0.847 O
0.232 0.496 0.152 O
0.211 0.491 0.648 O
0.019 0.827 0.245 O
0.012 0.842 0.741 O
```

**Space group**: No. 4
**E_form**: -2814.1 meV per atom
**Calculated density**: 6.52 g cm⁻³
**M_tot**: 9.00 μB/f.u.
+++
So much for the records of crystals =

Of course, anyone can take part in the many relief efforts that have been started and try to unmask fake news. Information on the Internet helps as long as it is factual and friendly – especially since it is important for all parties to read as many different messages as possible in order to form their own picture of the situation.

What I personally take with me (unfortunately) are many practical examples for my lectures, e.g., the use and exploitation of default credentials [12]. Finally, I would like to refer to information suitable for children, e.g., by the mouse (in German).